Activity =
Next, quote the entries further down from the first line to the one with "0.507 1.849" word for word.
Material =
+++
1.
Formula: C28H23N4O2PPtS
Source: OMol25
Level of theory: ωB97M-V/def2-TZVPD

```
60
Properties=species:S:1:pos:R:3
Pt 0.776 -0.147 -0.761
S 1.627 1.356 -3.309
P 0.281 -1.178 1.574
O 1.777 -0.084 -3.391
O 2.563 2.212 -3.973
N 1.597 1.607 -1.693
N 0.827 3.870 -1.587
N 0.074 2.126 -0.154
N -3.797 2.806 -5.190
C 1.783 -0.957 2.566
C 2.451 0.259 2.492
C 0.016 4.695 -0.931
C -1.443 3.317 -4.988
C -0.964 -1.069 4.093
C 0.523 -2.647 0.575
C -3.154 -1.964 4.529
C 1.155 -4.442 -1.403
C 1.190 -3.085 -1.696
C 0.028 1.767 -3.900
C -2.023 -1.288 4.962
C -0.777 4.303 0.139
C 3.444 -1.766 4.110
C 3.612 0.466 3.226
C -1.027 -1.531 2.780
C 0.861 -2.172 -0.694
C -2.520 2.449 -4.787
C -1.034 0.895 -3.694
C -2.170 -2.205 2.348
C -3.225 -2.423 3.220
C 0.783 -4.904 -0.140
C 0.822 2.615 -1.157
C 2.287 -1.971 3.379
C -0.178 2.979 -4.547
C -2.299 1.234 -4.133
C 4.107 -0.545 4.033
C 0.459 -4.007 0.865
C -0.715 2.968 0.498
H -1.311 2.556 1.305
H 0.751 -5.968 0.055
H -0.081 -0.548 4.443
H 3.836 -2.556 4.737
H -1.603 4.262 -5.493
H -4.103 -2.954 2.877
H -1.961 -0.931 5.983
H -3.979 -2.136 5.208
H 4.132 1.413 3.154
H -4.451 2.052 -5.316
H -1.420 5.001 0.652
H -0.003 5.723 -1.276
H 0.657 3.648 -4.700
H 1.777 -2.926 3.434
H -2.231 -2.569 1.329
H 5.015 -0.387 4.600
H 0.161 -4.358 1.846
H -3.124 0.550 -3.974
H 1.412 -5.159 -2.173
H -3.855 3.504 -5.913
H -0.868 -0.054 -3.197
H 2.073 1.038 1.840
H 1.465 -2.738 -2.684
```

Computed properties:
HOMO-LUMO gap (alpha / beta): 7.345 / 7.127 eV
Multiplicity: 3
DFT total energy: -62833.3670 eV
E_LUMO (alpha / beta): 0.351 / -1.076 eV

natural (NBO) population analysis, charges in e, atoms 1 to 2: atom 1 (Pt): 0.779, atom 2 (S): 2.320



2.
Formula: C28H24AlBrCl2N7S
Source: OMol25
Level of theory: ωB97M-V/def2-TZVPD

```
64
Properties=species:S:1:pos:R:3
Br 5.774 2.942 3.802
Cl -1.697 2.221 3.673
Cl -1.509 -0.176 1.914
S -1.941 0.558 -1.106
Al 0.114 0.042 -0.150
N 1.102 -0.100 -1.986
N -1.691 5.444 2.365
N -2.667 1.133 -3.580
N -0.165 -1.974 -0.179
N 0.632 1.998 0.048
N 1.524 -0.529 1.203
N -0.611 0.431 -3.596
C 3.872 -0.071 1.736
C 2.537 0.302 1.812
C 1.714 2.575 -0.509
C -1.682 0.699 -2.793
C -0.979 0.734 -4.922
C -0.947 4.882 1.694
C 3.133 2.241 3.088
C -0.214 2.787 0.730
C 4.845 0.718 2.331
C 1.559 -1.785 1.415
C 0.512 -3.993 0.916
C -1.866 0.503 3.602
C 0.686 -0.064 -3.260
C -1.225 -4.037 -0.723
C 1.110 4.734 0.307
C -1.066 -2.665 -0.878
C 0.609 -2.640 0.703
C 2.165 1.459 2.484
C 4.472 1.874 3.003
C -4.012 1.513 -3.117
C -0.435 -4.711 0.186
C 2.399 -0.471 -1.779
C -0.004 4.143 0.896
C 1.501 -0.472 -4.310
C 2.797 -0.868 -4.069
C 3.272 -0.841 -2.766
C -2.244 1.160 -4.898
C 1.976 3.924 -0.410
H -1.968 -4.557 -1.313
H -1.094 2.333 1.164
H 2.746 -0.446 -0.758
H -2.894 0.210 3.770
H -4.587 1.830 -3.980
H 2.859 4.332 -0.883
H -4.497 0.660 -2.648
H 5.887 0.436 2.272
H 4.291 -1.109 -2.524
H 2.265 -2.221 2.120
H 3.428 -1.184 -4.889
H 4.166 -0.962 1.188
H -2.883 1.488 -5.700
H -0.546 -5.779 0.330
H 1.158 -4.478 1.637
H -1.166 0.017 4.268
H 1.118 1.718 2.599
H -3.939 2.331 -2.404
H -1.678 -2.105 -1.571
H 2.853 3.129 3.639
H 1.128 -0.494 -5.320
H -0.316 0.659 -5.761
H 1.287 5.797 0.410
H 2.404 1.931 -1.036
```

Computed properties:
HOMO-LUMO gap: 6.419 eV
Net charge: +3
DFT total energy: -152355.5774 eV
E_LUMO: -9.691 eV

natural (NBO) population analysis, charges in e, atoms 1 to 2: atom 1 (Br): 0.190, atom 2 (Cl): 0.082



3.
Formula: C28H24Cl4N4O4SSiV
Source: OMol25
Level of theory: ωB97M-V/def2-TZVPD

```
67
Properties=species:S:1:pos:R:3
V 0.223 -0.116 -0.716
Cl 0.619 4.992 -0.819
Cl 4.401 0.812 -3.638
Cl 4.981 3.920 -3.923
Cl 3.108 5.997 -2.526
S -1.536 0.698 0.796
Si -1.603 1.589 4.113
O -0.640 -1.929 -0.031
O 1.477 -1.127 -0.511
O 0.507 1.849 -0.867
O 1.843 0.379 -1.828
N -1.220 0.646 -2.301
N 1.006 0.200 1.135
N 0.272 -2.630 -2.012
N -0.208 -1.351 -2.258
C -2.268 2.619 -3.190
C 2.142 0.108 1.806
C 1.434 2.491 -1.475
C 0.791 -6.458 -0.223
C 0.371 -5.469 1.925
C 3.619 3.363 -2.984
C -0.097 0.984 3.144
+++
Completed =
1.
Formula: C28H23N4O2PPtS
Source: OMol25
Level of theory: ωB97M-V/def2-TZVPD

```
60
Properties=species:S:1:pos:R:3
Pt 0.776 -0.147 -0.761
S 1.627 1.356 -3.309
P 0.281 -1.178 1.574
O 1.777 -0.084 -3.391
O 2.563 2.212 -3.973
N 1.597 1.607 -1.693
N 0.827 3.870 -1.587
N 0.074 2.126 -0.154
N -3.797 2.806 -5.190
C 1.783 -0.957 2.566
C 2.451 0.259 2.492
C 0.016 4.695 -0.931
C -1.443 3.317 -4.988
C -0.964 -1.069 4.093
C 0.523 -2.647 0.575
C -3.154 -1.964 4.529
C 1.155 -4.442 -1.403
C 1.190 -3.085 -1.696
C 0.028 1.767 -3.900
C -2.023 -1.288 4.962
C -0.777 4.303 0.139
C 3.444 -1.766 4.110
C 3.612 0.466 3.226
C -1.027 -1.531 2.780
C 0.861 -2.172 -0.694
C -2.520 2.449 -4.787
C -1.034 0.895 -3.694
C -2.170 -2.205 2.348
C -3.225 -2.423 3.220
C 0.783 -4.904 -0.140
C 0.822 2.615 -1.157
C 2.287 -1.971 3.379
C -0.178 2.979 -4.547
C -2.299 1.234 -4.133
C 4.107 -0.545 4.033
C 0.459 -4.007 0.865
C -0.715 2.968 0.498
H -1.311 2.556 1.305
H 0.751 -5.968 0.055
H -0.081 -0.548 4.443
H 3.836 -2.556 4.737
H -1.603 4.262 -5.493
H -4.103 -2.954 2.877
H -1.961 -0.931 5.983
H -3.979 -2.136 5.208
H 4.132 1.413 3.154
H -4.451 2.052 -5.316
H -1.420 5.001 0.652
H -0.003 5.723 -1.276
H 0.657 3.648 -4.700
H 1.777 -2.926 3.434
H -2.231 -2.569 1.329
H 5.015 -0.387 4.600
H 0.161 -4.358 1.846
H -3.124 0.550 -3.974
H 1.412 -5.159 -2.173
H -3.855 3.504 -5.913
H -0.868 -0.054 -3.197
H 2.073 1.038 1.840
H 1.465 -2.738 -2.684
```

Computed properties:
HOMO-LUMO gap (alpha / beta): 7.345 / 7.127 eV
Multiplicity: 3
DFT total energy: -62833.3670 eV
E_LUMO (alpha / beta): 0.351 / -1.076 eV

natural (NBO) population analysis, charges in e, atoms 1 to 2: atom 1 (Pt): 0.779, atom 2 (S): 2.320



2.
Formula: C28H24AlBrCl2N7S
Source: OMol25
Level of theory: ωB97M-V/def2-TZVPD

```
64
Properties=species:S:1:pos:R:3
Br 5.774 2.942 3.802
Cl -1.697 2.221 3.673
Cl -1.509 -0.176 1.914
S -1.941 0.558 -1.106
Al 0.114 0.042 -0.150
N 1.102 -0.100 -1.986
N -1.691 5.444 2.365
N -2.667 1.133 -3.580
N -0.165 -1.974 -0.179
N 0.632 1.998 0.048
N 1.524 -0.529 1.203
N -0.611 0.431 -3.596
C 3.872 -0.071 1.736
C 2.537 0.302 1.812
C 1.714 2.575 -0.509
C -1.682 0.699 -2.793
C -0.979 0.734 -4.922
C -0.947 4.882 1.694
C 3.133 2.241 3.088
C -0.214 2.787 0.730
C 4.845 0.718 2.331
C 1.559 -1.785 1.415
C 0.512 -3.993 0.916
C -1.866 0.503 3.602
C 0.686 -0.064 -3.260
C -1.225 -4.037 -0.723
C 1.110 4.734 0.307
C -1.066 -2.665 -0.878
C 0.609 -2.640 0.703
C 2.165 1.459 2.484
C 4.472 1.874 3.003
C -4.012 1.513 -3.117
C -0.435 -4.711 0.186
C 2.399 -0.471 -1.779
C -0.004 4.143 0.896
C 1.501 -0.472 -4.310
C 2.797 -0.868 -4.069
C 3.272 -0.841 -2.766
C -2.244 1.160 -4.898
C 1.976 3.924 -0.410
H -1.968 -4.557 -1.313
H -1.094 2.333 1.164
H 2.746 -0.446 -0.758
H -2.894 0.210 3.770
H -4.587 1.830 -3.980
H 2.859 4.332 -0.883
H -4.497 0.660 -2.648
H 5.887 0.436 2.272
H 4.291 -1.109 -2.524
H 2.265 -2.221 2.120
H 3.428 -1.184 -4.889
H 4.166 -0.962 1.188
H -2.883 1.488 -5.700
H -0.546 -5.779 0.330
H 1.158 -4.478 1.637
H -1.166 0.017 4.268
H 1.118 1.718 2.599
H -3.939 2.331 -2.404
H -1.678 -2.105 -1.571
H 2.853 3.129 3.639
H 1.128 -0.494 -5.320
H -0.316 0.659 -5.761
H 1.287 5.797 0.410
H 2.404 1.931 -1.036
```

Computed properties:
HOMO-LUMO gap: 6.419 eV
Net charge: +3
DFT total energy: -152355.5774 eV
E_LUMO: -9.691 eV

natural (NBO) population analysis, charges in e, atoms 1 to 2: atom 1 (Br): 0.190, atom 2 (Cl): 0.082



3.
Formula: C28H24Cl4N4O4SSiV
Source: OMol25
Level of theory: ωB97M-V/def2-TZVPD

```
67
Properties=species:S:1:pos:R:3
V 0.223 -0.116 -0.716
Cl 0.619 4.992 -0.819
Cl 4.401 0.812 -3.638
Cl 4.981 3.920 -3.923
Cl 3.108 5.997 -2.526
S -1.536 0.698 0.796
Si -1.603 1.589 4.113
O -0.640 -1.929 -0.031
O 1.477 -1.127 -0.511
O 0.507 1.849 -0.867